The greatest economic failure of 20th century

The Great Depression has central place in twentieth century economic history. All other depressions and recessions are from an aggregate perspective little more than ripples on the tide of ongoing economic growth. The Great Depression cast the survival of the economic system, and the political order, into serious doubt. A serious recession in modern times would be when gross domestic product (GDP) falls by 3% or 4% over two years. Between 1929 and 1932 America’s GDP fell by 30%.

Winston Churchill was on a visit to New York in 1929 on one of the worst days for share prices. Churchill was surprised not to see more frenzy among the brokers until he was told that rules prevented them from running, shouting or gesticulating. Churchill did witness something, though, that has become part of the grim history of the era: a man jumping to his death from a nearby hotel window.

Three days — Black Thursday, Black Monday, and Black Tuesday — come to to describe this collapse of stock values. The initial crash occurred on Black Thursday (October 24, 1929), but it was the catastrophic downturn of Black Monday and Tuesday (October 28 and 29, 1929) that precipitated widespread panic and the onset of unprecedented and long-lasting consequences for the US. The unemployment rate rose above 25%, with little social protection for the victims. Workers were idle because firms would not hire them to work their machines; firms would not hire workers to work machines because they saw no market for goods; and there was no market for goods because workers had no incomes to spend. Furthermore, the drought that occurred in the Mississippi Valley in 1930 was of such proportions that many people in the region became unable to pay taxes or other debts and had to sell their farms for no profit to themselves.

The crash followed a speculative boom of the American economy that had taken hold in the late 1920s, which had led hundreds of thousands of Americans to invest heavily in the stock market (in the period of 1923-1929 corporate profits rose 62%, dividends rose 65% and the average output per worker increased 32% in manufacturing), a significant number even borrowing money to buy more stock. The Roaring Twenties, as this period came to be known, was a time of prosperity and excess, and despite warnings against speculation, many believed that the market could sustain high price levels. The rising stock prices encouraged more people to invest; people hoped the stock prices would rise further. Speculation thus fueled further rises and created an economic bubble (at the market peak in September 1929 about 40% of stock market values were pure speculation). Shortly before the crash, Irving Fisher proclaimed, “Stock prices have reached what looks like a permanently high plateau.”

The euphoria and financial gains of the great bull market were shattered on Black Thursday, when share prices on the NYSE collapsed. Panic selling started. More than 12 million shares were traded in a single day as people desperately tried to mitigate the situation. This mass sale is often considered a major contributing factor to the Great Depression. The market lost $14 billion in value on that day. Some 9,000 banks, accounting for nearly half of America’s banking capital, failed in less than a year later.

• Unrelated to this page: crystal structures:
# 1
Er2AsPb: optimized geometry, PBE.

Structure (POSCAR):
```
Er2AsPb
1.0
4.005 0.000 0.000
2.002 3.468 0.000
2.002 1.156 7.758
Pb Er As
1 2 1
Direct
0.500 0.500 0.500
0.737 0.737 0.789
0.263 0.263 0.211
0.000 0.000 0.000
```

Computed properties:
**Excess energy over the best structure of this formula in the dataset**: 0 meV/atom
**Space-group type**: R-3m
**Formation energy from the elements**: -0.96 eV per atom
**Uncorrected energy**: -5.33 eV/atom
**DOS(E_F)**: 1.5 states/eV/f.u.

---

# 2
Er2AsPb: optimized geometry, PBE.

Structure (POSCAR):
```
Er2AsPb
1.0
-0.686 2.596 2.817
0.243 -1.070 3.734
8.015 2.047 0.065
Er As Pb
2 1 1
Direct
0.333 0.333 0.797
0.667 0.667 0.203
0.000 0.000 0.000
0.000 0.000 0.500
```

Computed properties:
**Excess energy over the best structure of this formula in the dataset**: 102 meV/atom
**Space-group type**: P-3m1
**Formation energy from the elements**: -0.86 eV per atom
**Uncorrected energy**: -5.23 eV/atom
**DOS(E_F)**: 2.8 states/eV/f.u.

---

# 3
ErAs2Rh5Pb: optimized geometry, PBE.

Structure (POSCAR):
```
ErAs2Rh5Pb
1.0
4.182 0.000 0.000
0.000 4.182 0.000
0.000 0.000 8.819
As Er Rh Pb
2 1 5 1
Direct
0.500 0.500 0.142
0.500 0.500 0.858
0.000 0.000 0.000
0.500 0.000 0.730
0.500 0.000 0.270
0.500 0.500 0.500
0.000 0.500 0.730
0.000 0.500 0.270
0.000 0.000 0.500
```

Computed properties:
**Space-group type**: P4/mmm
**Formation energy from the elements**: -0.54 eV per atom
**Uncorrected energy**: -6.58 eV/atom
**DOS(E_F)**: 5.2 states/eV/f.u.

---

# 4
ErAs2Rh7Pb2: optimized geometry, PBE.

Structure (POSCAR):
```
ErAs2Rh7Pb2
1.0
-2.179 0.914 3.222
-1.899 -3.506 -0.260
8.495 -6.648 9.119
Pb As Er Rh
2 2 1 7
Direct
0.108 0.108 0.610
0.892 0.892 0.390
0.574 0.574 0.753
0.426 0.426 0.247
0.000 0.000 0.000
0.500 0.500 0.000
0.045 0.544 0.851
0.544 0.045 0.851
0.381 0.381 0.421
0.456 0.955 0.149
0.619 0.619 0.579
0.955 0.456 0.149
```

Computed properties:
**Space-group type**: C2/m
**Formation energy from the elements**: -0.28 eV per atom
**Uncorrected energy**: -6.34 eV/atom
**DOS(E_F)**: 9.3 states/eV/f.u.

---

# 5
Er6As2PbS3: optimized geometry, PBE.

Structure (POSCAR):
```
Er6As2PbS3
1.0
4.006 0.000 0.000
0.000 8.128 0.336
-2.003 -2.298 8.500
Er S As Pb
6 3 2 1
Direct
0.668 0.583 0.337
0.000 0.728 0.000
0.332 0.417 0.663
0.674 0.089 0.347
0.326 0.911 0.653
0.000 0.272 0.000
0.833 0.168 0.667
0.167 0.832 0.333
0.500 0.500 0.000
0.167 0.335 0.334
0.833 0.665 0.666
0.500 0.000 0.000
```

Computed properties:
**Space-group type**: C2/m
**Uncorrected energy**: -5.93 eV/atom
**Formation energy without anion corrections**: -1.532 eV per atom
**DOS(E_F)**: 4.3 states/eV/f.u.

---

# 6
Er6As3PbS2: optimized geometry, PBE.

Structure (POSCAR):
```
Er6As3PbS2
1.0
-0.643 -1.421 3.724
6.862 -4.532 -0.544
3.232 8.363 1.561
S As Er Pb
2 3 6 1
Direct
0.830 0.659 0.659
0.170 0.341 0.341
0.500 0.500 0.000
0.165 0.831 0.331
0.835 0.169 0.669
0.003 0.268 0.005
0.327 0.913 0.654
0.673 0.087 0.346
0.668 0.585 0.335

The first instinct of governments and central banks faced with this crisis was to do nothing. Businessmen, economists, and politicians (Secretary of the Treasury Mellon who said ‘Liquidate labor, liquidate stocks, liquidate the farmers, liquidate real estate’) expected the recession of 1929-1930 to be self-limiting. They expected workers with idle hands and capitalists with idle machines to try to undersell their still at-work peers. Prices would fall. When prices fell enough, entrepreneurs would gamble that even with slack demand production would be profitable at the new, lower wages. Production would then resume. Except that this scenario never materialized. Stock prices fell on Black Thursday and they continued to fall, at an unprecedented rate for a full month, bringing the entire economy to its knees.

When politicians and businessmen finally decided to act, their actions plunged the country into a longer, self-sustainable crisis. They reacted by introducing protectionist policies such as the passage of the Smoot-Hawley Tariff Act (raising import tariffs – in average by 60% – on more than 20,000 items and causing protectionist policies in the rest of the world in retaliation) through the Congress (purportedly resulting from Republican policies in 1928), causing more harm than the crash itself.

In 1931, the Pecora Commission was established by the Senate to study the causes of the crash. The Congress passed the Glass-Steagall Act in 1933, which mandated a separation between commercial banks and investment banks. After the experience of the 1929 crash, stock markets around the world instituted measures to temporarily suspend trading in the event of rapid declines, claiming that they would prevent such panic sales.

There is no fully satisfactory explanation of why the Depression happened when it did. The causes of the Depression are still actively debated among economists due to lack of consensus in describing the causal relationship between various events and the role of government economic policy in inducing or preventing the Depression. Milton Friedman and Anna Schwartz argued that the Depression was the consequence of an incredible sequence of blunders in monetary policy. Another popular theory is that the Depression was caused when investors became fearful of their stocks as markets expanded some focus to Europe, which still had nations that were economically damaged from WWI (war-induced inflation, brief recession in 1920 and 1921, chronic overproduction of food and resulting low prices, nationalistic selfishness).